Wanted.
Next, search the lines below for the word "compared" and give back each line that has it.
Data.
[1]
ORCA calculation (ωB97M-V/def2-TZVPD) on a single C3H3ClOS molecule in a non-equilibrium geometry.

```
9
Properties=species:S:1:pos:R:3:nbo_charge:R:1
C 1.2095 0.2677 0.0378 0.149
C -0.2641 0.5805 0.2594 -0.377
C -1.1280 -0.3524 0.3062 -0.067
H 1.3321 2.1812 -0.3345 0.471
H -0.6140 1.5517 0.6110 0.242
H -0.9163 -1.4804 0.2993 0.241
O 1.8505 1.4868 -0.1047 -0.671
S 2.1989 -0.9600 -0.0588 0.044
Cl -2.8643 -0.1036 -0.1422 -0.032
```

Summary:
- ΔE to the lowest compared entry with this formula, charge and spin: 35.6 kcal per mole
- Molecular weight: 122.6 u
- HOMO: -9.24 eV
- SMILES: OC(=S)/C=C/Cl
- LUMO: -0.596 eV
- F_max: 0.125 hartree/bohr


[2]
ORCA calculation (ωB97M-V/def2-TZVPD) on a molecular structure, C5H10O2.

```
17
Properties=species:S:1:pos:R:3:nbo_charge:R:1
C 1.6519 1.2768 -0.8468 -0.620
C 0.1744 0.9332 -0.7630 0.079
O -0.1472 0.2516 -1.9565 -0.709
C -0.1284 0.1356 0.4963 0.087
C -1.4073 -0.7032 0.6235 -0.448
C -0.4565 -1.6969 1.2914 -0.055
O 0.6746 -1.0413 0.6973 -0.527
H 1.8415 1.9013 -1.7242 0.219
H 1.9856 1.8115 0.0489 0.209
H 2.2261 0.3514 -0.9436 0.228
H -0.4182 1.8637 -0.6757 0.156
H -1.0203 -0.1494 -1.8502 0.463
H -0.0153 0.8094 1.3631 0.168
H -2.2564 -0.2996 1.1781 0.213
H -1.7365 -1.0960 -0.3440 0.190
H -0.5263 -2.7541 1.0186 0.184
H -0.4418 -1.5941 2.3867 0.165
```

Summary:
- ΔE to the lowest compared entry with this formula, charge and spin: 50.0 kcal per mole
- Molecular weight: 102.1 u
- HOMO: -9.78 eV
- LUMO: 0.959 eV
- F_max: 0.008 hartree/bohr


[3]
ORCA calculation (ωB97M-V/def2-TZVPD) on a molecular structure, C27H45OPdSi4Te in a non-equilibrium geometry.

```
79
Properties=species:S:1:pos:R:3:mulliken_spin:R:1
C 0.9154 -2.3091 1.4653 0.163
C -0.4429 -2.6306 1.1683 0.203
C -0.6714 -2.3893 -0.2405 0.157
H -1.1498 -3.0906 1.8408 -0.008
C 0.5950 -1.9000 -0.8100 0.250
C 1.5645 -1.8355 0.2790 0.041
H 2.6112 -1.5596 0.1700 0.008
H 1.4181 -2.4830 2.4259 0.081
H -1.5405 -2.6706 -0.8193 0.011
H 0.8173 -1.8043 -1.8728 0.023
C -0.9691 2.0330 -0.2549 0.107
C -1.0960 2.5108 1.1217 0.329
C 0.2547 2.4720 1.7048 0.112
H -1.9140 3.0887 1.5284 0.009
C 1.1681 2.0715 0.6780 0.204
C 0.4232 1.8132 -0.5247 0.154
H 0.8537 1.6997 -1.5262 0.010
H -1.7166 2.1303 -1.0272 0.016
H 0.5488 2.9480 2.6512 0.021
H 2.2632 2.0704 0.7741 0.004
Pd -0.4877 -0.2142 0.1231 0.871
O -0.7219 -0.0351 -2.6605 0.000
C -1.6826 -0.9365 -3.1571 0.011
C -0.5446 -1.2996 -4.1007 0.002
H -1.9520 -1.7952 -2.5665 0.005
H -2.3924 -0.3177 -3.6654 0.000
H -0.2322 -2.3453 -4.1011 0.000
H 1.0509 -2.0612 -6.0919 0.000
C 0.7632 -1.0184 -6.1635 0.005
C -0.0465 -0.4529 -5.1346 -0.003
C -0.3834 0.9339 -5.1940 0.006
H -0.9565 1.3420 -4.3510 0.000
C 0.0803 1.7101 -6.2633 -0.003
H -0.1864 2.7514 -6.2561 0.000
C 0.8424 1.1312 -7.2626 0.004
H 1.1563 1.7531 -8.0922 0.000
C 1.1906 -0.2042 -7.2276 -0.002
H 1.7893 -0.6440 -7.9915 0.000
C -3.5621 -0.3068 4.7536 0.044
Si -1.9744 -1.0456 5.4772 0.030
C -2.0892 -0.9182 7.3638 0.016
C -1.8604 -2.8469 4.9944 0.014
Si -0.0692 0.0695 4.6798 0.076
Te -1.1769 0.4553 2.4337 0.997
Si -0.0246 2.2053 5.6707 0.030
C -0.0837 2.1444 7.5619 0.008
C 1.6514 3.0362 5.2293 0.003
C -1.4590 3.2133 5.0883 0.013
Si 1.8943 -1.0597 5.3639 -0.009
C 2.1286 -0.7773 7.2236 0.010
C 1.9205 -2.9190 5.1234 0.000
C 3.3185 -0.2714 4.4077 0.002
H -4.3969 -0.9444 5.0865 0.005
H -3.5663 -0.2866 3.6510 -0.009
H -3.7492 0.7149 5.1124 0.002
H -2.8996 -1.5959 7.6806 0.002
H -1.1635 -1.2364 7.8656 -0.002
H -2.3434 0.0957 7.7040 -0.001
H -1.8091 -2.9919 3.9104 -0.008
H -1.0019 -3.3571 5.4426 0.002
H -2.7686 -3.3495 5.3555 0.001
H 0.7504 1.5973 8.0191 -0.001
H -0.0382 3.1879 7.9130 0.001
H -1.0222 1.7095 7.9252 -0.001
H 1.8269 3.0836 4.1412 -0.003
H 1.6116 4.0699 5.6251 0.000
H 2.5054 2.5126 5.6990 0.000
H -1.3794 3.5409 4.0529 -0.009
H -2.4088 2.6879 5.1895 -0.004
H -1.5176 4.1118 5.7108 0.002
H 1.2577 -1.1081 7.8080 -0.002
H 2.9944 -1.3808 7.5418 0.001
H 2.3376 0.2709 7.4759 0.000
H 2.0010 -3.2189 4.0739 -0.001
H 2.8062 -3.3177 5.6425 0.000
Worked solution.
- ΔE to the lowest compared entry with this formula, charge and spin: 35.6 kcal per mole
- ΔE to the lowest compared entry with this formula, charge and spin: 50.0 kcal per mole